Wanted:
Now find "factors, no" and "0.237" in the contents underneath, and return these two lines and those between.
Excerpt:
'''
Computed powder diffraction line list of Na3Cd3Ag2 for a wavelength of 1.5418 Å, from DFT lattice parameters and positions (GGA-PBE).
Neutral-atom scattering factors, no anomalous dispersion.

Most intense lines, 15° ≤ 2θ ≤ 90°, sorted by position:
21.52 deg, intensity 35.1; 33.15 deg, intensity 43.4; 35.92 deg, intensity 100.0; 37.74 deg, intensity 35.6; 38.13 deg, intensity 47.8; 44.20 deg, intensity 12.5; 45.75 deg, intensity 30.2; 54.73 deg, intensity 20.1; 64.03 deg, intensity 17.4; 66.96 deg, intensity 15.1

Crystal structure
```
data_Na3Cd3Ag2
_cell_length_a 8.2569
_cell_length_b 8.2569
_cell_length_c 3.1421
_cell_angle_alpha 90.00
_cell_angle_beta 90.00
_cell_angle_gamma 120.00
_symmetry_space_group_name_H-M 'P -6 2 m'
_symmetry_Int_Tables_number 189
_symmetry_space_group_name_Hall 'P -6 -2'
loop_
_atom_site_label
_atom_site_type_symbol
_atom_site_fract_x
_atom_site_fract_y
_atom_site_fract_z
_atom_site_occupancy
Na1 Na 0.0000 0.2441 0.0000 1
Cd1 Cd 0.0000 0.5944 0.5000 1
Ag1 Ag 0.3333 0.6667 0.0000 1
```

* * * * *

For EuCrAs2, a DFT-relaxed cell (PBE, Alexandria) gives the computed X-ray powder pattern in this record (CuKα).

Atomic structure:
```
data_EuCrAs2
_space_group_name_H-M_alt 'R -3 m'
_space_group_IT_number 166
_space_group_name_Hall '-R 3 2"'
_cell_length_a 3.9676
_cell_length_b 3.9676
_cell_length_c 18.7141
_cell_angle_alpha 90.00
_cell_angle_beta 90.00
_cell_angle_gamma 120.00
loop_
_atom_site_label
_atom_site_fract_x
_atom_site_fract_y
_atom_site_fract_z
Eu1 0.0000 0.0000 0.0000
Cr1 0.0000 0.0000 0.5000
As1 0.0000 0.0000 0.2309
```

Principal peaks in the range 15° ≤ 2θ ≤ 90°, in order of rising 2θ:
2θ (°)	d/Å	I (rel.)
26.37	3.380	19.0
32.33	2.769	100.0
35.46	2.531	22.8
45.74	1.984	41.3
46.99	1.934	25.4
57.11	1.613	19.0
64.97	1.435	12.8
76.06	1.251	16.1

---

For Cr3Fe3GeAs2, a DFT-relaxed cell (PBE, Alexandria) gives the computed X-ray powder pattern in this record (CuKα).

Atomic structure:
```
data_Cr3Fe3GeAs2
_space_group_name_H-M_alt 'P -6 2 m'
_space_group_IT_number 189
_space_group_name_Hall 'P -6 -2'
_cell_length_a 6.0069
_cell_length_b 6.0069
_cell_length_c 3.7545
_cell_angle_alpha 90.00
_cell_angle_beta 90.00
_cell_angle_gamma 120.00
loop_
_atom_site_label
_atom_site_fract_x
_atom_site_fract_y
_atom_site_fract_z
Cr1 0.0000 0.5792 0.0000
Fe1 0.0000 0.2444 0.5000
Ge1 0.0000 0.0000 0.0000
As1 0.3333 0.6667 0.5000
```

Principal peaks in the range 15° ≤ 2θ ≤ 90°, in order of rising 2θ:
2θ (°)	d/Å	I (rel.)
38.38	2.345	66.2
42.27	2.138	100.0
46.17	1.966	32.7
48.49	1.877	33.6
52.54	1.742	40.0
52.79	1.734	25.3
74.49	1.274	17.5
85.35	1.137	21.1

* * * * *

# DyAg2F8
Computed X-ray powder pattern, Cu Kα. Input: DFT lattice parameters and positions (PBE).
Peak positions follow from Bragg's law for the DFT cell and can differ from measured ones.

Crystal structure
a = 7.006 Å, b = 7.006 Å, c = 4.197 Å
α = 90.00°, β = 90.00°, γ = 120.00°
Positions (direct):
Dy 0.000 0.000 0.000
Ag 0.333 0.667 0.738
Ag 0.667 0.333 0.262
F 0.155 0.312 0.737
F 0.157 0.845 0.737
F 0.312 0.157 0.263
F 0.333 0.667 0.237
F 0.667 0.333 0.763
F 0.688 0.843 0.737
F 0.843 0.155 0.263
'''
Solution:
Neutral-atom scattering factors, no anomalous dispersion.

Most intense lines, 15° ≤ 2θ ≤ 90°, sorted by position:
21.52 deg, intensity 35.1; 33.15 deg, intensity 43.4; 35.92 deg, intensity 100.0; 37.74 deg, intensity 35.6; 38.13 deg, intensity 47.8; 44.20 deg, intensity 12.5; 45.75 deg, intensity 30.2; 54.73 deg, intensity 20.1; 64.03 deg, intensity 17.4; 66.96 deg, intensity 15.1

Crystal structure
```
data_Na3Cd3Ag2
_cell_length_a 8.2569
_cell_length_b 8.2569
_cell_length_c 3.1421
_cell_angle_alpha 90.00
_cell_angle_beta 90.00
_cell_angle_gamma 120.00
_symmetry_space_group_name_H-M 'P -6 2 m'
_symmetry_Int_Tables_number 189
_symmetry_space_group_name_Hall 'P -6 -2'
loop_
_atom_site_label
_atom_site_type_symbol
_atom_site_fract_x
_atom_site_fract_y
_atom_site_fract_z
_atom_site_occupancy
Na1 Na 0.0000 0.2441 0.0000 1
Cd1 Cd 0.0000 0.5944 0.5000 1
Ag1 Ag 0.3333 0.6667 0.0000 1
```

* * * * *

For EuCrAs2, a DFT-relaxed cell (PBE, Alexandria) gives the computed X-ray powder pattern in this record (CuKα).

Atomic structure:
```
data_EuCrAs2
_space_group_name_H-M_alt 'R -3 m'
_space_group_IT_number 166
_space_group_name_Hall '-R 3 2"'
_cell_length_a 3.9676
_cell_length_b 3.9676
_cell_length_c 18.7141
_cell_angle_alpha 90.00
_cell_angle_beta 90.00
_cell_angle_gamma 120.00
loop_
_atom_site_label
_atom_site_fract_x
_atom_site_fract_y
_atom_site_fract_z
Eu1 0.0000 0.0000 0.0000
Cr1 0.0000 0.0000 0.5000
As1 0.0000 0.0000 0.2309
```

Principal peaks in the range 15° ≤ 2θ ≤ 90°, in order of rising 2θ:
2θ (°)	d/Å	I (rel.)
26.37	3.380	19.0
32.33	2.769	100.0
35.46	2.531	22.8
45.74	1.984	41.3
46.99	1.934	25.4
57.11	1.613	19.0
64.97	1.435	12.8
76.06	1.251	16.1

---

For Cr3Fe3GeAs2, a DFT-relaxed cell (PBE, Alexandria) gives the computed X-ray powder pattern in this record (CuKα).

Atomic structure:
```
data_Cr3Fe3GeAs2
_space_group_name_H-M_alt 'P -6 2 m'
_space_group_IT_number 189
_space_group_name_Hall 'P -6 -2'
_cell_length_a 6.0069
_cell_length_b 6.0069
_cell_length_c 3.7545
_cell_angle_alpha 90.00
_cell_angle_beta 90.00
_cell_angle_gamma 120.00
loop_
_atom_site_label
_atom_site_fract_x
_atom_site_fract_y
_atom_site_fract_z
Cr1 0.0000 0.5792 0.0000
Fe1 0.0000 0.2444 0.5000
Ge1 0.0000 0.0000 0.0000
As1 0.3333 0.6667 0.5000
```

Principal peaks in the range 15° ≤ 2θ ≤ 90°, in order of rising 2θ:
2θ (°)	d/Å	I (rel.)
38.38	2.345	66.2
42.27	2.138	100.0
46.17	1.966	32.7
48.49	1.877	33.6
52.54	1.742	40.0
52.79	1.734	25.3
74.49	1.274	17.5
85.35	1.137	21.1

* * * * *

# DyAg2F8
Computed X-ray powder pattern, Cu Kα. Input: DFT lattice parameters and positions (PBE).
Peak positions follow from Bragg's law for the DFT cell and can differ from measured ones.

Crystal structure
a = 7.006 Å, b = 7.006 Å, c = 4.197 Å
α = 90.00°, β = 90.00°, γ = 120.00°
Positions (direct):
Dy 0.000 0.000 0.000
Ag 0.333 0.667 0.738
Ag 0.667 0.333 0.262
F 0.155 0.312 0.737
F 0.157 0.845 0.737
F 0.312 0.157 0.263
F 0.333 0.667 0.237